Set Up Allocation Rules

The wave template be linked to an allocation mode. The allocation mode will specify the rules of allocation:

  • The sequence of Allocation by the Unit of Measure (Full LPN/Pallet, Cases, Packs, Units) *Note: Full Pallet picking is possible if all LPNs on a pallet are allocated.
  • The Location Area from which inventory should be allocated (Reserve, Active, etc…)
  • The Distribution Mode for inventory consolidation if needed (Distribution to Store)
  • The Cartonize UOM to specify how Outbound LPNs are created (LPN level, Inner Case level, Cubed...)
Note: The cartonize UOM will specify if units will be cubed. The cubing process is the process of allocating inventory to outbound containers based on the dimensions of the allocated inventory.

To set the Allocation Mode:

  1. First follow Section 'Set Up Allocation Mode'
  2. Second, set up configuration for one or any combination of the available allocation types (Non-Cubed, Cubed, Distribution).

Set Up Allocation Mode

Task Description WMS Module Overview/Comments Task Details
Set Allocation Mode Templates Wave Templates Link 'Allocation Mode' Multiple Allocation Modes can be set up for different flows and for different types of orders. Each allocation mode will be linked to a specific wave template.
  1. Login at specific company level
  2. In UI Module 'Wave Template' access the link 'Allocation Mode'
  3. Add a new wave search by entering a Allocation Mode Name and saving the allocation mode
Allocation Sequence Wave Templates Link 'Allocation Mode' The sequence of allocation will specify the order in which inventory should be allocated either from a specific location area, or at the level of UOM .. Multiple Allocation Sequences can be set up. (i.e. First allocate from Active, Second allocate Full Cases from Reserve Area 1, Third Units from Reserve Area 2 etc...)
  1. Under the link 'Allocation Mode' select the allocation mode and access the details
  2. Add an allocation sequence, enter a sequence number
Location Type Wave Templates Link 'Allocation Mode' The location type will specify the type of locations from which inventory will be allocated for the specific allocation sequence. (i.e. Seq 1 - Allocate from Active Seq 2 - If there is no available Active Inventory - Allocate from Reserve)
  1. Under the 'Allocation Mode' details
  2. Under the location type: select Active or Reserve based on the types of locations that will be set up in the location master
Location Area and Zone Restrication (Optional) Wave Templates Link 'Allocation Mode' Allocation can be restricted to specific location areas or location allocation zones set up in the location master. Inventory will only be allocated from the specified areas and/or allocation zones. Areas and Zones are not required to be specified. This can also be used to prioritize allocation by location area/zone (i.e. Seq 1 - Allocate Units from Area 1 Seq 2 - Allocate Units from Area 2)
  1. Under the 'Allocation Mode' details
  2. In field 'Restrict Area', enter the location area that needs to be restricted for allocation if needed
  3. In field 'Restrict Allocation Zone' enter the location allocation zone that needs to be restricted for allocation if needed

Allocation - Non-Cubed Picking

Non-Cubed Picking in WMS is defined as picking inventory that will not be assigned to outbound containers based on volume and dimensions.

Non-Cubed Picking is done via task excution for picking units, packs, cases and LPNs to an outbound container.

For non-cubed unit/pack/case picking, containers will be created during picking. BlindOutbound LPNs labels will be used for printing.

For non-cubed full LPN picking, containers can be created with the wave since the Inbound LPN can be used as an outbound LPN. In this case, Container Labels can be printed at the wave.

Note: Non-Cubed picking can also be used to bulk pick inventory into a temporary container/tote and repacked into appropriate shipping containers after picking. This is used for E-commerce distribution.
Task Description WMS Module Overview/Comments Task Details
Allocation UOM Wave Templates Link 'Allocation Mode' The Allocation UOM will specify the Unit of Measure level at which inventory will be allocated for picking (LPNs, Cases, Units...) Allocation can be prioritized by UOM (i.e. Full LPN first, then units) Active Locations will only allocate Units Reserve Locations will allocate LPNs, Cases, Packs and Units for non-cubed picking. Cases and Packs allocation will be based on the Standard Case and Packs Quantities in the Item Master.
  1. Under the 'Allocation Mode' details
  2. Under field 'Allocation UOM': - If location type chosen is active, the UOM does not need to be specified. This will be units by default. - If location type chosen is reserve, Select the UOM at which inventory needs to be allocated for the specific allocation sequence.
Active Locations - Cartonize UOM Wave Templates Link 'Allocation Mode' The Cartonize UOM will specify how allocated inventory will be assigned to outbound containers. WMS will create outbound containers at the level of UOM specified. For Active Locations, no option will be selected for non-cubed picked: - None - Outbound Containers will be created during picking
  1. Under the 'Allocation Mode' details
  2. Under field 'Caronize UOM': - Do not select an option if picking will be done with tasks
Reserve Locations - Cartonize UOM Allocation UOM: Units/Packs/Cases Wave Templates Link 'Allocation Mode' The Cartonize UOM will specify how allocated inventory will be assigned to outbound containers. WMS will create outbound containers at the level of UOM specified. For Partial Reserve Picking, non-cubed options are as follow: - None - Outbound Containers will be created by users during picking - Units, Packs, Cases - Outbound containers will be created per each UOM at packing (i.e. After packing inventory WMS will create an outbound LPN per each UOM) - LPNs - Outbound containers will be created at the wave for inventory. (i.e. An LPN will be created at the wave for all inventory at the same UOM level). Container Labels can be printed at the wave.
  1. Under the 'Allocation Mode' details
  2. Under field 'Caronize UOM': - Select an option for UOM based on how Outbound LPNs need to be created (i.e. An Outbound LPN can be created for each inner case if needed)
Reserve Locations - Cartonize UOM Allocation UOM: Full LPNs Wave Templates Link 'Allocation Mode' The Cartonize UOM will specify how allocated inventory will be assigned to outbound containers. WMS will create outbound containers at the level of UOM specified. For full LPN non-cubed picking, options are as follow: - LPNs - Outbound Containers will be created per each LPN allocated. Shipping labels can be printed at the wave.
  1. Under the 'Allocation Mode' details
  2. Under field 'Caronize UOM': - Select LPNs
Active Locations - Distribution Mode Wave Templates Link 'Allocation Mode' The distribution Mode for non-cubed picking tasks will be 'No distribution'.
  1. Under the 'Allocation Mode' details
  2. Under field 'Distribution Mode': - Select No distribution
Reserve Locations - Distribution Mode Wave Templates Link 'Allocation Mode' The distribution Mode for non-cubed picking tasks will be 'No distribution'.
  1. Under the 'Allocation Mode' details
  2. Under field 'Distribution Mode': - Select No distribution

Allocation - Cubed Picking and Pick to Cart

What comes next are calculated crystals, not part of the entry >
- - -
The following is a simulated X-ray powder pattern of Sr2Zn2Ni15. It was derived from a structure optimized by DFT (GGA-PBE), using Cu Kα X-rays.

Top 10 peaks for 2θ = 15–90°, sorted by position:
d = 2.454 Å, rel. 38
d = 2.356 Å, rel. 36
d = 2.125 Å, rel. 75
d = 2.104 Å, rel. 100
d = 2.061 Å, rel. 18
d = 2.043 Å, rel. 55
d = 1.886 Å, rel. 67
d = 1.842 Å, rel. 24
d = 1.227 Å, rel. 21
d = 1.191 Å, rel. 18

Structure:
```
data_Sr2Zn2Ni15
_chemical_formula_sum 'Sr6 Zn6 Ni45'
_cell_length_a 8.5010
_cell_length_b 8.5010
_cell_length_c 12.2647
_cell_angle_alpha 90.00
_cell_angle_beta 90.00
_cell_angle_gamma 120.00
_symmetry_space_group_name_H-M 'R -3 m'
_symmetry_Int_Tables_number 166
_symmetry_space_group_name_Hall '-R 3 2"'
loop_
_atom_site_label
_atom_site_type_symbol
_atom_site_fract_x
_atom_site_fract_y
_atom_site_fract_z
Sr1 Sr 0.0000 0.0000 0.1515
Zn1 Zn 0.0000 0.0000 0.3995
Ni1 Ni 0.0000 0.2884 0.5000
Ni2 Ni 0.0000 0.5000 0.0000
Ni3 Ni 0.0074 0.5037 0.3443
```

~~~~~

Record 1
# Gd4C2F5
Computed XRD peak list, λ = 1.5418 Å (Cu Kα). Input: a structure optimized by DFT (PBE).

Top 12 peaks for 2θ from 10° to 90°, by intensity:
Position (°2θ), I_rel, hkl
37.9, 100, 1 2 1
48.7, 100, 1 2 5
30.7, 83, 1 0 3
30.1, 78, 0 2 2
22.7, 53, 0 1 3
24.0, 50, 0 0 4
30.9, 50, 1 1 2
14.9, 42, 0 1 1
28.4, 36, 1 1 0
36.4, 36, 0 0 6
33.3, 30, 0 1 5
56.9, 25, 0 4 0

Crystal structure
```
data_Gd4C2F5
_chemical_formula_sum 'Gd8 C4 F10'
_cell_length_a 3.601
_cell_length_b 6.473
_cell_length_c 14.809
_cell_angle_alpha 90.00
_cell_angle_beta 90.00
_cell_angle_gamma 90.00
_symmetry_space_group_name_H-M 'I m m m'
_symmetry_Int_Tables_number 71
_symmetry_space_group_name_Hall '-I 2 2'
loop_
_atom_site_label
_atom_site_fract_x
_atom_site_fract_y
_atom_site_fract_z
Gd1 0.000 0.000 0.193
Gd2 0.000 0.264 0.500
C1 0.000 0.000 0.049
F1 0.000 0.261 0.315
F2 0.000 0.500 0.000
```

Record 2
# NdGdCF2
Computed XRD peak list, λ = 1.5418 Å (Cu Kα). Input: a structure optimized by DFT (PBE).

Top 12 peaks for 2θ from 10° to 90°, by intensity:
Position (°2θ), I_rel, hkl
30.9, 100, 1 0 1
27.6, 59, 0 0 2
39.4, 39, 0 1 2
48.8, 31, 1 1 0
50.8, 30, 1 0 3
56.9, 26, 1 1 2
58.9, 17, 0 2 1
79.9, 14, 2 1 1
73.1, 10, 0 2 3
64.3, 9, 0 1 4
64.4, 9, 2 0 2
84.8, 8, 1 2 2

Crystal structure
```
data_NdGdCF2
_chemical_formula_sum 'Nd1 Gd1 C1 F2'
_cell_length_a 3.7325
_cell_length_b 3.7325
_cell_length_c 6.4815
_cell_angle_alpha 90.00
_cell_angle_beta 90.00
_cell_angle_gamma 120.00
_symmetry_space_group_name_H-M 'P 3 m 1'
_symmetry_Int_Tables_number 156
loop_
_symmetry_equiv_pos_as_xyz
'x,y,z'
'-y,x-y,z'
'-x+y,-x,z'
'-y,-x,z'
'-x+y,y,z'
'x,x-y,z'
loop_
_atom_site_label
_atom_site_fract_x
_atom_site_fract_y
_atom_site_fract_z
Nd1 0.0000 0.0000 0.0000
Gd1 0.6667 0.3333 0.4324
C1 0.3333 0.6667 0.2186
F1 0.0000 0.0000 0.5908
F2 0.6667 0.3333 0.8134
```

~~~~~

No. 1
- - -
The entry goes on >

Cubed Allocation in WMS is defined as assigning inventory to outbound containers based on containers' dimensions, max volume and weight. Outbound containers will be created at the wave or after packing based on the items' dimensions, volume and weight.

  1. Pick Cart Functionality - Cubed Allocation can be done at the wave. Outbound Containers can will be created at the wave based on dimensions, volume and weight of inventory. In this case container/shippping labels can be printed at the wave. Containers will then be assigned to the pick cart. Multiple orders can be picked at a time with the pick cart functionality.
  2. Cubed Allocation can also be done at packing. Outbound Containers sizes/types will be calculated but not created at the wave. Outbound Containers will be created at packing.
This can be used to pick inventory into a temporary LPN or tote and then distribute Inventory into the cubed calculated OBLPNs.
Note: Pick Cart will not be used in this case.
Task Description WMS Module Overview/Comments Task Details
Allocation UOM Wave Templates Link 'Allocation Mode' The Allocation UOM will specify the Unit of Measure level at which inventory will be allocated for picking (Cases, Units...) Allocation can be prioritized by UOM (i.e. Cases first, then units) Active Locations will only allocate Units Reserve Locations will allocate Cases, Packs and Units for cubing. *Full LPNs cannot be cubed. Cases and Packs allocation will be based on the Standard Case and Packs Quantities in the Item Master.
  1. Under the 'Allocation Mode' details
  2. Under field 'Allocation UOM': - If location type chosen is active, the UOM does not need to be specified. This will be units by default. - If location type chosen is reserve, Select the UOM at which inventory needs to be allocated for the specific allocation sequence (Cases, Packs or Units)
Active - Cartonize UOM Wave Templates Link 'Allocation Mode' The Cartonize UOM will specify if inventory allocated will be cubed (i.e. outbound containers will be calculated)
  1. Under the 'Allocation Mode' details
  2. Under field 'Caronize UOM': - Select the option 'Cubed'
Reserve Locations - Cartonize UOM Wave Templates Link 'Allocation Mode' The Cartonize UOM will specify if inventory allocated will be cubed (i.e. outbound containers will be calculated)
  1. Under the 'Allocation Mode' details
  2. Under field 'Caronize UOM': - Select the option 'Cubed'
Active Locations - Distribution Mode Wave Templates Link 'Allocation Mode' The distribution Mode for non-cubed picking tasks will be 'No distribution'.
  1. Under the 'Allocation Mode' details
  2. Under field 'Distribution Mode': - Select 'No distribution'
Reserve Locations - Distribution Mode Wave Templates Link 'Allocation Mode' The distribution Mode for non-cubed picking tasks will be 'No distribution'.
  1. Under the 'Allocation Mode' details
  2. Under field 'Distribution Mode': - Select 'No distribution'

Allocation - Distribution to Store

Distribution to Store or Put-To-Store (PTS) is defined in WMS as the process in which allocated inventory is pulled in bulk for multiple orders/stores. The inventory is then distributed to stores/destination facilities at a consolidation locations.

The PTS Process requires destination stores to be defined in WMS in the 'Facilities' screen, as well as assigned distrbuiton/consolidations locations for each store/facility.

Inventory can be allocated from both Active and Reserve Locations for distributions.

  1. Distribution at LPN Level: Full LPNs will be picked and then units will be distributed to corresponding stores.
  2. Allocated Units will be picked and consolidated (rather than the Full LPN) and then the units will be distributed to stores.
Task Description WMS Module Overview/Comments Task Details
Allocation UOM Wave Templates Link 'Allocation Mode' The Allocation UOM will specify the Unit of Measure level at which inventory will be allocated for picking (Cases, Units...) Allocation can be prioritized by UOM (i.e. Cases first, then units) Active Locations will only allocate Units Reserve Locations will allocate Cases, Packs and Units for distribution. *Full LPNs is not an option. Cases and Packs allocation will be based on the Standard Case and Packs Quantities in the Item Master.
  1. Under the 'Allocation Mode' details
  2. Under field 'Allocation UOM': - If location type chosen is active, the UOM does not need to be specified. This will be units by default. -
  3. If the location type chosen is reserve, Select the UOM at which inventory needs to be allocated for the specific allocation sequence (Cases, Packs or Units)
Active - Cartonize UOM (Not Applicable for Distribution) Wave Templates Link 'Allocation Mode' The Cartonize UOM is not used for Distribution To Store.
  1. Under the 'Allocation Mode' details
  2. Under field 'Caronize UOM': - Do not select an option
Reserve Locations - Cartonize UOM (Not Applicable for Distribution) Wave Templates Link 'Allocation Mode' The Cartonize UOM is not used for Distribution To Store.
  1. Under the 'Allocation Mode' details
  2. Under field 'Caronize UOM': - Do not select an option
Active Locations - Distribution Mode Wave Templates Link 'Allocation Mode' The distribution Mode for PTS Process from Active Locations will be 'Consolidate and Distibute'. With this mode, all units allocated from active for stores will be picked in bulk into a temporary container and then distributed to stores at consolidated locations.
  1. Under the 'Allocation Mode' details
  2. Under field 'Distribution Mode': - Select 'Consolidate and Distribute'
Reserve Locations - Distribution Mode Wave Templates Link 'Allocation Mode' The distribution Mode for PTS Process from Reserve Locations will be as follow: 1. Distribution, no residuals : Allocation will be done from LPNs allocated in full to one or more orders. Allocation will not be done if an LPN is not fully allocated. 2. Distrbution, residuals OK: LPNs will be allowed to be partly allocated for orders. 3. Consolidate and Distribute: Inventory will be allocated, picked and consolidated rather than the LPNs. Inventory will then be distrbuted.
  1. Under the 'Allocation Mode' details
  2. Under field 'Distribution Mode': Select option needed for flow - Distribution, No residuals - Distribution, Residuals OK - Consolidate and distribute

Allocation - Additional Options

Task Description WMS Module Overview/Comments Task Details
MHE System (Optional) Wave Templates Link 'Allocation Mode'
  1. Under the 'Allocation Mode' details
  2. Under field 'mhe_system': Enter the name of the MHE system to which communication will be made for allocation
Ignore Attributes Wave Templates Link 'Allocation Mode' Attributes A, B, C are inventory attributes specified on current inventory. The order details can specify one or more inventory attributes to restrict allocation to inventory with matching attributes. On the allocation mode: - Ignore Attribute flag: when checked inventory can be allocated from any inventory with non-matching attributes when unchecked, inventrory can be only allocated when attributes specified on order match if any
  1. Under the 'Allocation Mode' details
  2. Next to options 'Ignore Attribute A, B, or C: Check flag if needed.
    Note: if orders will not specify attributes, the flags are not required to be set.